Subduction Top to Bottom 2 (ST2B-2) Taking Shape in GEOSPHERE
Subduction zones are where lithosphere is recycled into Earth’s mantle along ~55,000 km length of convergent plate margins (at trenches). Subduction is a uniquely powerful and important Earth process, so it is no surprise that the geoscientific community has become increasingly interested in the process since the term was introduced 50-60 years ago on the heels of the plate tectonic revolution. Understanding the dynamics of subduction is extremely important for realistic assessment of associated hazards such as earthquakes, tsunamis, and volcanic eruptions.
Tremendous advances over the past 20 years or so have been made in subduction zone science, with increasingly multidisciplinary efforts producing some of the greatest insights. The goals of the “Subduction Top to Bottom 2 (ST2B-2)” publication project now underway are to highlight these advancements and further encourage collaboration across disciplines. The ST2B-2 concept is a follow-up to the Subduction Top to Bottom Conference (SUBCON, or ST2B-1) held in 1994 in Avalon, California, that led to publication of American Geophysical Union Geophysical Monograph v. 96 (referred to by many as “Big Purple” because of its distinctive cover). The ST2B-2 Themed Issue in the all-electronic Geological Society of America journal GEOSPHERE has been accumulating papers, now with about 50 contributions spanning the range of subduction zone depths and research approaches. These papers are arranged in their coverage from top to bottom in subduction zones, that is, from the seafloor outboard of trenches to the mantle at depths greater than those beneath volcanic arcs.
This venture, for which Prof. Gray Bebout is chief editor/organizer, also has involved convening special ST2B-2 sessions at recent international conferences — these sessions attracted more than 300 abstracts over four meetings in 2016-2018. The other editors involved are Dave Scholl (Emeritus, United States Geological Survey and University of Alaska, Fairbanks), Bob Stern (University of Texas, Dallas), Laura Wallace (University of Texas Institute for Geophysics, Austin, and GNS Science, Lower Hutt, New Zealand), and Philippe Agard (Institut des Sciences de la Terre de Paris, UPMC Université Paris 06). In the meeting sessions, as for the online GEOSPHERE papers, talks and posters are arranged by subduction zone depth/process, not the methods applied.
# What comes next are records of molecules, not part of the page
/*
C17H29Br18IN | wB97M-V/def2-TZVPD

Structure (XYZ):
```
66
Properties=species:S:1:pos:R:3:forces:R:3
C 2.697177 -1.509590 0.332695 0.22 0.36 -0.51
C 3.136299 -1.761141 -1.118910 -0.28 -0.03 0.22
C 1.988133 -2.308812 -1.969190 0.49 -0.53 0.27
C 3.875949 -0.575948 -1.745903 0.14 0.54 -0.29
C 2.996618 0.490515 -2.402309 -0.37 -0.79 -0.17
C 1.822188 0.993545 -1.599009 0.59 0.47 0.41
C 1.343604 2.286023 -2.289690 0.30 -1.53 1.28
C 2.674309 2.882995 -2.802363 -1.93 1.16 0.22
C 2.971994 4.275536 -2.184748 1.28 -0.66 -0.33
C 4.390828 4.451311 -1.599587 -0.65 1.00 0.55
C 4.383898 4.492633 -0.059989 0.24 -0.97 -0.64
I 5.149502 2.615204 0.696792 -0.06 0.25 0.12
N 3.713513 1.804380 -2.681137 0.13 -0.55 -0.47
H 1.632688 -1.338568 0.388827 -0.39 -0.02 0.23
H 2.971044 -2.344576 0.961443 -0.13 -0.17 0.23
H 3.192736 -0.620682 0.708432 0.09 0.11 0.34
H 3.863811 -2.561619 -1.059801 0.37 -0.06 -0.17
H 2.235322 -2.328586 -3.025580 -0.12 0.15 -0.26
H 1.850887 -3.346198 -1.683103 -0.18 -0.22 0.03
H 1.041122 -1.825218 -1.775182 -0.20 0.32 -0.20
H 4.490502 -0.080927 -0.998592 0.20 -0.06 0.28
H 4.543820 -0.972722 -2.506220 0.22 0.04 -0.16
H 2.759066 0.119261 -3.394047 -0.64 0.02 -0.15
H 1.092426 0.264864 -1.292669 -0.39 -0.25 -0.47
H 2.282704 1.291209 -0.651466 -0.06 0.14 0.23
H 0.853062 2.828331 -1.492268 0.06 0.75 -0.15
H 0.585578 2.083160 -3.034430 0.17 0.04 -0.50
H 2.500665 3.014879 -3.862464 0.52 0.02 -0.30
H 2.845889 5.008075 -2.969911 -0.13 0.12 -0.23
H 2.252503 4.524735 -1.421530 -0.31 -0.14 0.19
H 5.113717 3.747950 -1.984726 0.24 -0.10 -0.11
H 4.749515 5.428934 -1.901735 0.12 0.16 -0.25
H 4.972659 5.306130 0.323315 0.35 0.01 0.32
H 3.381723 4.541035 0.325433 -0.27 0.14 0.23
H 4.462860 1.912745 -1.985222 -0.26 0.44 0.14
H 4.122997 1.756654 -3.609415 0.59 -0.17 0.19
C -0.227635 0.631262 3.947247 0.07 -0.04 -0.08
Br -0.837876 1.606545 2.393548 0.07 -0.06 0.03
Br -0.792604 -1.207816 3.894632 0.01 0.06 0.03
Br 1.676984 0.776030 4.190585 -0.15 0.04 -0.14
H -0.695386 1.092841 4.804044 -0.02 0.00 0.03
C 4.044479 2.924528 6.867732 -0.12 -0.05 0.03
Br 4.767150 2.708802 5.090115 -0.01 0.01 0.02
Br 2.778944 4.372820 6.949209 0.05 -0.09 -0.04
Br 3.289454 1.278688 7.527562 0.10 0.13 0.02
H 4.869322 3.182619 7.514492 0.03 0.00 0.00
C -1.405958 -4.531178 2.140439 -0.06 0.00 0.03
Br -2.031146 -5.163077 3.846519 0.05 0.04 -0.09
Br 0.515601 -4.393356 2.093542 -0.04 -0.05 -0.02
Br -2.073850 -5.600980 0.685301 0.05 0.00 0.02
H -1.798392 -3.533448 2.007219 0.00 0.03 -0.02
C -5.759155 -6.457607 -1.279872 -0.04 -0.01 0.00
Br -5.003612 -6.563646 -3.051048 -0.03 0.01 0.09
Br -6.972768 -4.973341 -1.108916 0.04 -0.05 -0.05
Br -6.582490 -8.117317 -0.756992 0.03 0.09 -0.04
H -4.943587 -6.277407 -0.595648 0.02 0.00 0.02
C -8.916697 -2.747026 1.966652 0.05 -0.08 0.01
Br -9.428676 -1.703827 0.428153 0.00 -0.07 0.01
Br -9.577466 -4.548945 1.847292 0.04 0.09 0.00
Br -7.010724 -2.699499 2.251172 -0.07 0.00 -0.01
H -9.378023 -2.291893 2.829786 -0.02 0.04 0.01
*/
# Here the page continues
A more detailed description of this venture is provided in a recently published feature article in the journal GSA Today:
The ST2B-2 Themed Issue in GEOSPHERE can be viewed at:
Please contact Prof. Bebout, or any of the other editors, if you are interested in contributing a manuscript for the ST2B-2 Themed Issue.
[ABOVE] An example of intensely fractured/brecciated eclogite-facies metabasaltic rock from the UHP metamorphic Monviso locality (photograph from Samuel Angiboust, IPGP, Paris), showing the mineralization of these fractures by omphacite, a Na-rich pyroxene stable at extremely high-P/T conditions (the horizontal dimension is 15 cm). These veins reflect high-P/T element mobility, likely in H2O-rich metamorphic fluids. Eclogite-facies breccias and rocks such as these containing abundant mineralized fractures could be the products of major rupture events at >50 km depths in ancient subduction zones.